____________
This record from the Open Molecules 2025 dataset describes C29H47ClN4O4Pb as an isolated structure in a non-equilibrium geometry. The level of theory is ωB97M-V/def2-TZVPD.

```
86
Properties=species:S:1:pos:R:3:forces:R:3
Pb -0.545445 -0.902029 0.368724 2.39 2.70 -1.13
C -2.649095 -4.538055 0.452807 -0.04 -0.95 -0.01
C -1.976699 -2.484664 1.000319 -1.64 -1.72 0.93
N -1.621772 -3.790948 0.961624 0.18 0.16 -0.53
H -4.667152 -3.935190 -0.108713 -0.08 -0.03 0.03
N -3.291406 -2.468651 0.671989 0.31 0.00 -0.42
H -2.578619 -5.587882 0.237455 -0.02 -0.02 0.07
C -0.257175 -0.696624 -1.966995 -0.48 -1.16 1.03
C 0.491401 0.383307 -2.421867 0.05 0.31 -1.68
C 0.605500 0.599161 -3.806670 0.02 -0.14 0.82
C 0.015645 -0.277123 -4.725470 -0.05 -0.15 0.01
C -0.685358 -1.388995 -4.247196 -0.13 -0.01 0.47
C -0.827493 -1.600949 -2.854783 0.34 0.54 -1.87
H 0.988937 1.095841 -1.753668 -0.24 -0.28 -0.05
H 1.162382 1.458161 -4.184979 0.01 -0.04 0.03
H -1.141614 -2.075319 -4.968022 0.09 0.06 0.08
H -1.388122 -2.478661 -2.510356 0.10 0.20 -0.06
C 0.151354 0.012711 -6.199322 -0.01 0.12 -0.08
H -0.193125 -0.826511 -6.809509 0.02 0.01 0.02
H 1.193107 0.232512 -6.469628 -0.11 -0.09 0.01
H -0.433336 0.896407 -6.489434 0.02 -0.10 -0.01
C -0.238798 -4.321552 1.129286 -0.01 0.48 -0.04
C -0.345657 -5.761436 1.601429 0.18 -0.40 0.18
C 0.481318 -4.246760 -0.212064 0.19 -0.29 -0.36
H -0.774195 -6.425110 0.846008 0.00 0.00 0.04
H 0.664447 -6.122902 1.818909 -0.18 0.03 -0.08
H -0.927009 -5.835180 2.526899 -0.02 0.02 -0.10
H 1.377653 -4.138060 2.504588 -0.11 -0.02 0.01
H -0.075459 -3.268216 3.051145 0.06 -0.02 -0.24
H 0.655433 -3.207369 -0.537773 -0.10 -0.17 0.27
C 0.529401 -3.518291 2.171815 0.56 -0.07 0.57
H -0.094417 -4.755403 -0.995971 0.08 -0.08 0.07
H 1.460055 -4.735786 -0.107150 -0.10 0.05 -0.10
H 0.980604 -2.595291 1.771457 -0.51 -0.27 0.07
C -3.690452 -3.716490 0.276054 -0.73 -0.14 -0.11
C -3.945645 -0.813009 -0.999185 -0.09 0.03 -0.34
H -4.370049 -1.561432 -1.680476 -0.09 0.05 0.02
H -4.463163 0.144428 -1.147337 0.09 -0.17 -0.05
C -4.113334 -1.248848 0.453957 0.39 0.02 -0.02
H -4.486174 0.572975 1.503207 -0.07 -0.05 0.05
C -5.564762 -1.610970 0.737380 -0.41 0.13 0.11
H -5.680043 -2.057156 1.732329 0.04 0.03 -0.11
H -2.885946 -0.678994 -1.269257 -0.24 0.12 0.29
H -2.821225 0.447084 0.969597 -0.05 -0.48 0.18
H -5.977123 -2.292498 -0.015100 0.02 0.05 0.10
H -6.166396 -0.694739 0.713439 0.13 -0.20 -0.05
C -3.654479 -0.137795 1.388872 -0.36 0.59 0.34
H -3.376825 -0.501268 2.384489 0.03 0.01 -0.21
C 3.571097 3.733820 1.587770 -0.25 0.00 0.30
N 3.442677 2.786555 0.576983 0.54 1.00 0.52
H 2.189434 5.366918 2.108698 0.08 0.08 0.05
N 1.759784 4.096108 0.398313 0.78 0.96 0.57
H 4.317679 3.674929 2.359248 0.07 0.12 -0.01
C 4.141805 1.485504 0.591633 0.01 0.24 -0.03
C 5.625698 1.701813 0.338864 0.40 -0.17 -0.22
C 3.926640 0.870910 1.972392 -0.17 -0.28 0.18
H 6.096393 2.309800 1.123381 -0.11 -0.06 -0.15
H 6.125669 0.722558 0.315949 -0.04 0.24 0.06
H 5.785276 2.178355 -0.636573 -0.02 0.00 0.18
H 4.055120 -0.365500 -0.482816 -0.12 0.19 0.03
H 3.660505 1.070999 -1.468943 -0.16 -0.11 0.11
H 2.857224 0.759533 2.196487 0.27 0.04 -0.12
C 3.537481 0.604580 -0.486502 0.04 -0.30 -0.04
H 4.383868 1.480026 2.765202 -0.06 -0.15 -0.16
H 4.382999 -0.126915 1.999372 -0.06 0.16 0.02
H 2.470881 0.430869 -0.290504 0.34 -0.02 -0.13
C 2.514611 4.567837 1.468388 -0.03 -0.33 0.36
C -0.367471 4.190319 1.551723 -0.23 -0.20 0.12
____________

Now set down everything above character by character.

This record from the Open Molecules 2025 dataset describes C29H47ClN4O4Pb as an isolated structure in a non-equilibrium geometry. The level of theory is ωB97M-V/def2-TZVPD.

```
86
Properties=species:S:1:pos:R:3:forces:R:3
Pb -0.545445 -0.902029 0.368724 2.39 2.70 -1.13
C -2.649095 -4.538055 0.452807 -0.04 -0.95 -0.01
C -1.976699 -2.484664 1.000319 -1.64 -1.72 0.93
N -1.621772 -3.790948 0.961624 0.18 0.16 -0.53
H -4.667152 -3.935190 -0.108713 -0.08 -0.03 0.03
N -3.291406 -2.468651 0.671989 0.31 0.00 -0.42
H -2.578619 -5.587882 0.237455 -0.02 -0.02 0.07
C -0.257175 -0.696624 -1.966995 -0.48 -1.16 1.03
C 0.491401 0.383307 -2.421867 0.05 0.31 -1.68
C 0.605500 0.599161 -3.806670 0.02 -0.14 0.82
C 0.015645 -0.277123 -4.725470 -0.05 -0.15 0.01
C -0.685358 -1.388995 -4.247196 -0.13 -0.01 0.47
C -0.827493 -1.600949 -2.854783 0.34 0.54 -1.87
H 0.988937 1.095841 -1.753668 -0.24 -0.28 -0.05
H 1.162382 1.458161 -4.184979 0.01 -0.04 0.03
H -1.141614 -2.075319 -4.968022 0.09 0.06 0.08
H -1.388122 -2.478661 -2.510356 0.10 0.20 -0.06
C 0.151354 0.012711 -6.199322 -0.01 0.12 -0.08
H -0.193125 -0.826511 -6.809509 0.02 0.01 0.02
H 1.193107 0.232512 -6.469628 -0.11 -0.09 0.01
H -0.433336 0.896407 -6.489434 0.02 -0.10 -0.01
C -0.238798 -4.321552 1.129286 -0.01 0.48 -0.04
C -0.345657 -5.761436 1.601429 0.18 -0.40 0.18
C 0.481318 -4.246760 -0.212064 0.19 -0.29 -0.36
H -0.774195 -6.425110 0.846008 0.00 0.00 0.04
H 0.664447 -6.122902 1.818909 -0.18 0.03 -0.08
H -0.927009 -5.835180 2.526899 -0.02 0.02 -0.10
H 1.377653 -4.138060 2.504588 -0.11 -0.02 0.01
H -0.075459 -3.268216 3.051145 0.06 -0.02 -0.24
H 0.655433 -3.207369 -0.537773 -0.10 -0.17 0.27
C 0.529401 -3.518291 2.171815 0.56 -0.07 0.57
H -0.094417 -4.755403 -0.995971 0.08 -0.08 0.07
H 1.460055 -4.735786 -0.107150 -0.10 0.05 -0.10
H 0.980604 -2.595291 1.771457 -0.51 -0.27 0.07
C -3.690452 -3.716490 0.276054 -0.73 -0.14 -0.11
C -3.945645 -0.813009 -0.999185 -0.09 0.03 -0.34
H -4.370049 -1.561432 -1.680476 -0.09 0.05 0.02
H -4.463163 0.144428 -1.147337 0.09 -0.17 -0.05
C -4.113334 -1.248848 0.453957 0.39 0.02 -0.02
H -4.486174 0.572975 1.503207 -0.07 -0.05 0.05
C -5.564762 -1.610970 0.737380 -0.41 0.13 0.11
H -5.680043 -2.057156 1.732329 0.04 0.03 -0.11
H -2.885946 -0.678994 -1.269257 -0.24 0.12 0.29
H -2.821225 0.447084 0.969597 -0.05 -0.48 0.18
H -5.977123 -2.292498 -0.015100 0.02 0.05 0.10
H -6.166396 -0.694739 0.713439 0.13 -0.20 -0.05
C -3.654479 -0.137795 1.388872 -0.36 0.59 0.34
H -3.376825 -0.501268 2.384489 0.03 0.01 -0.21
C 3.571097 3.733820 1.587770 -0.25 0.00 0.30
N 3.442677 2.786555 0.576983 0.54 1.00 0.52
H 2.189434 5.366918 2.108698 0.08 0.08 0.05
N 1.759784 4.096108 0.398313 0.78 0.96 0.57
H 4.317679 3.674929 2.359248 0.07 0.12 -0.01
C 4.141805 1.485504 0.591633 0.01 0.24 -0.03
C 5.625698 1.701813 0.338864 0.40 -0.17 -0.22
C 3.926640 0.870910 1.972392 -0.17 -0.28 0.18
H 6.096393 2.309800 1.123381 -0.11 -0.06 -0.15
H 6.125669 0.722558 0.315949 -0.04 0.24 0.06
H 5.785276 2.178355 -0.636573 -0.02 0.00 0.18
H 4.055120 -0.365500 -0.482816 -0.12 0.19 0.03
H 3.660505 1.070999 -1.468943 -0.16 -0.11 0.11
H 2.857224 0.759533 2.196487 0.27 0.04 -0.12
C 3.537481 0.604580 -0.486502 0.04 -0.30 -0.04
H 4.383868 1.480026 2.765202 -0.06 -0.15 -0.16
H 4.382999 -0.126915 1.999372 -0.06 0.16 0.02
H 2.470881 0.430869 -0.290504 0.34 -0.02 -0.13
C 2.514611 4.567837 1.468388 -0.03 -0.33 0.36
C -0.367471 4.190319 1.551723 -0.23 -0.20 0.12